(1)
First-principles (r2SCAN) data for crystalline Fe7Ge4 at its relaxed geometry, as listed in the Materials Project database.

The structure belongs to space group P6_3/mmc (No. 194); the cell edges are 8.0829, 8.0829 and 4.9637 Å and the angles 90.00°, 90.00° and 120.00°. The asymmetric unit holds Fe at (0.0000, 0.0000, 0.0000), Fe at (0.0000, 0.5000, 0.0000), Fe at (0.1589, 0.3177, 0.2500), Ge at (0.1898, 0.3796, 0.7500) and Ge at (0.3333, 0.6667, 0.2500).

As for the formation energy from the elements: 0.02 eV/atom. The distance to the lowest polymorph of the same formula comes out at 0.0 kJ per mole of atoms. As for the crystal system: hexagonal. As for the magnetic moment: 16.82 μB/f.u. The total energy is -14.1947 eV/atom.


(2)
First-principles (r2SCAN) data for crystalline FeGe2 at its relaxed geometry, as listed in the Materials Project database.

The structure belongs to space group Cmce (No. 64); the cell edges are 10.4372, 8.0121 and 8.1702 Å and the angles 90.00°, 90.00° and 90.00°. The asymmetric unit holds Fe at (0.0000, 0.1972, 0.1876), Fe at (0.2182, 0.0000, 0.0000), Ge at (0.1267, 0.0397, 0.7313) and Ge at (0.1273, 0.2280, 0.4561).

As for the formation energy from the elements: 0.18 eV/atom. As for the crystal system: orthorhombic. As for the magnetic moment: 0.00 μB/f.u. The total energy is -13.8702 eV/atom.


(3)
First-principles (r2SCAN) data for crystalline FeGe at its relaxed geometry, as listed in the Materials Project database.

The structure belongs to space group P2_13 (No. 198); the cell edges are 4.7158, 4.7158 and 4.7158 Å and the angles 90.00°, 90.00° and 90.00°. The asymmetric unit holds Fe at (0.1348, 0.1348, 0.1348) and Ge at (0.1550, 0.3450, 0.6550).

As for the formation energy from the elements: 0.12 eV/atom. As for the crystal system: cubic. As for the magnetic moment: 2.00 μB/f.u. The total energy is -14.0274 eV/atom.


(4)
First-principles (r2SCAN) data for crystalline Fe7Ge4 at its relaxed geometry, as listed in the Materials Project database.

The structure belongs to space group P-6m2 (No. 187); the cell edges are 4.0813, 4.0813 and 9.9843 Å and the angles 90.00°, 90.00° and 120.00°. The asymmetric unit holds Fe at (0.0000, 0.0000, 0.0000), Fe at (0.3333, 0.6667, 0.1247), Fe at (0.3333, 0.6667, 0.3722), Fe at (0.6667, 0.3333, 0.2620), Ge at (0.0000, 0.0000, 0.2530), Ge at (0.6667, 0.3333, 0.0000) and Ge at (0.6667, 0.3333, 0.5000).

As for the formation energy from the elements: 0.04 eV/atom. The distance to the lowest polymorph of the same formula comes out at 1.7 kJ per mole of atoms. As for the crystal system: hexagonal. As for the magnetic moment: 16.40 μB/f.u. The total energy is -14.1776 eV/atom.


(5)
First-principles (r2SCAN) data for crystalline FeGe at its relaxed geometry, as listed in the Materials Project database.

The structure belongs to space group P6/mmm (No. 191); the cell edges are 4.9976, 4.9976 and 4.1158 Å and the angles 90.00°, 90.00° and 120.00°. The asymmetric unit holds Fe at (0.0000, 0.5000, 0.0000), Ge at (0.0000, 0.0000, 0.0000) and Ge at (0.3333, 0.6667, 0.5000).

As for the formation energy from the elements: 0.01 eV/atom. As for the crystal system: hexagonal. As for the magnetic moment: 2.34 μB/f.u. The total energy is -14.1370 eV/atom.


(6)
First-principles (r2SCAN) data for crystalline HfFeGe at its relaxed geometry, as listed in the Materials Project database.

The structure belongs to space group P-62m (No. 189); the cell edges are 6.6715, 6.6715 and 3.6631 Å and the angles 90.00°, 90.00° and 120.00°. The asymmetric unit holds Hf at (0.0000, 0.5896, 0.0000), Fe at (0.0000, 0.2513, 0.5000), Ge at (0.0000, 0.0000, 0.0000) and Ge at (0.3333, 0.6667, 0.5000).

As for the formation energy from the elements: -0.52 eV/atom. As for the crystal system: hexagonal. As for the magnetic moment: 2.00 μB/f.u. The total energy is -25.0009 eV/atom.


(7)

Duplicate the whole of the data further up without altering anything, please.

(1)
First-principles (r2SCAN) data for crystalline Fe7Ge4 at its relaxed geometry, as listed in the Materials Project database.

The structure belongs to space group P6_3/mmc (No. 194); the cell edges are 8.0829, 8.0829 and 4.9637 Å and the angles 90.00°, 90.00° and 120.00°. The asymmetric unit holds Fe at (0.0000, 0.0000, 0.0000), Fe at (0.0000, 0.5000, 0.0000), Fe at (0.1589, 0.3177, 0.2500), Ge at (0.1898, 0.3796, 0.7500) and Ge at (0.3333, 0.6667, 0.2500).

As for the formation energy from the elements: 0.02 eV/atom. The distance to the lowest polymorph of the same formula comes out at 0.0 kJ per mole of atoms. As for the crystal system: hexagonal. As for the magnetic moment: 16.82 μB/f.u. The total energy is -14.1947 eV/atom.


(2)
First-principles (r2SCAN) data for crystalline FeGe2 at its relaxed geometry, as listed in the Materials Project database.

The structure belongs to space group Cmce (No. 64); the cell edges are 10.4372, 8.0121 and 8.1702 Å and the angles 90.00°, 90.00° and 90.00°. The asymmetric unit holds Fe at (0.0000, 0.1972, 0.1876), Fe at (0.2182, 0.0000, 0.0000), Ge at (0.1267, 0.0397, 0.7313) and Ge at (0.1273, 0.2280, 0.4561).

As for the formation energy from the elements: 0.18 eV/atom. As for the crystal system: orthorhombic. As for the magnetic moment: 0.00 μB/f.u. The total energy is -13.8702 eV/atom.


(3)
First-principles (r2SCAN) data for crystalline FeGe at its relaxed geometry, as listed in the Materials Project database.

The structure belongs to space group P2_13 (No. 198); the cell edges are 4.7158, 4.7158 and 4.7158 Å and the angles 90.00°, 90.00° and 90.00°. The asymmetric unit holds Fe at (0.1348, 0.1348, 0.1348) and Ge at (0.1550, 0.3450, 0.6550).

As for the formation energy from the elements: 0.12 eV/atom. As for the crystal system: cubic. As for the magnetic moment: 2.00 μB/f.u. The total energy is -14.0274 eV/atom.


(4)
First-principles (r2SCAN) data for crystalline Fe7Ge4 at its relaxed geometry, as listed in the Materials Project database.

The structure belongs to space group P-6m2 (No. 187); the cell edges are 4.0813, 4.0813 and 9.9843 Å and the angles 90.00°, 90.00° and 120.00°. The asymmetric unit holds Fe at (0.0000, 0.0000, 0.0000), Fe at (0.3333, 0.6667, 0.1247), Fe at (0.3333, 0.6667, 0.3722), Fe at (0.6667, 0.3333, 0.2620), Ge at (0.0000, 0.0000, 0.2530), Ge at (0.6667, 0.3333, 0.0000) and Ge at (0.6667, 0.3333, 0.5000).

As for the formation energy from the elements: 0.04 eV/atom. The distance to the lowest polymorph of the same formula comes out at 1.7 kJ per mole of atoms. As for the crystal system: hexagonal. As for the magnetic moment: 16.40 μB/f.u. The total energy is -14.1776 eV/atom.


(5)
First-principles (r2SCAN) data for crystalline FeGe at its relaxed geometry, as listed in the Materials Project database.

The structure belongs to space group P6/mmm (No. 191); the cell edges are 4.9976, 4.9976 and 4.1158 Å and the angles 90.00°, 90.00° and 120.00°. The asymmetric unit holds Fe at (0.0000, 0.5000, 0.0000), Ge at (0.0000, 0.0000, 0.0000) and Ge at (0.3333, 0.6667, 0.5000).

As for the formation energy from the elements: 0.01 eV/atom. As for the crystal system: hexagonal. As for the magnetic moment: 2.34 μB/f.u. The total energy is -14.1370 eV/atom.


(6)
First-principles (r2SCAN) data for crystalline HfFeGe at its relaxed geometry, as listed in the Materials Project database.

The structure belongs to space group P-62m (No. 189); the cell edges are 6.6715, 6.6715 and 3.6631 Å and the angles 90.00°, 90.00° and 120.00°. The asymmetric unit holds Hf at (0.0000, 0.5896, 0.0000), Fe at (0.0000, 0.2513, 0.5000), Ge at (0.0000, 0.0000, 0.0000) and Ge at (0.3333, 0.6667, 0.5000).

As for the formation energy from the elements: -0.52 eV/atom. As for the crystal system: hexagonal. As for the magnetic moment: 2.00 μB/f.u. The total energy is -25.0009 eV/atom.


(7)